-----Original Message-----
From: danapalamara@tiscali.co.uk [mailto:danapalamara@tiscali.co.uk]
Sent: Thu, 9 Dec 2004 20:04:49 +1300
Subject: Fush and Chups
Hello again,
Hope the weather isn't too bad at home!
It's our last day in Middle Earth today before we move on to Sydney. We've only had just over three weeks here and it's gone in a flash but we've packed loads in.
For those that have never been here before, it's a little odd coming from South America to Auckland. When you get to the airport you could be forgiven for thinking someone had dropped you off at Heathrow by mistake. It's all so much like home. You can use your bank card anywhere, you are surrounded by familiar logos ...Midland Bank, Boots and there are fish and chip shops all over the place. However the moment you go no more than 2km out of a
town you remember that you are on the other side of the planet.
The countryside is truly spectacular. I never realised there could be so many different shades of green. The birds are the same as in the rest of Polynesia – weird and multi coloured. Even the weeds on the side of the road here are lovely we'd probably pay a fortune for them at home. Just driving around in a car is a treat - a bit dangerous though cause it's hard to keep your eye on the road.
We've been following the Danni (Smith) Wright guide to New Zealand (Thanks Dan - all your suggestions have been fab). Here 's a round up.
(Totally Awesome) Things we haven't done before:
-Raced down 90 mile beach in a huge bus.
-Went sand boarding - if anyone ever tries to tell you this is for boys only, or hard they are lying.
-Went black water rafting in a cave full of glow worms. Cool apart from having to jump backwards in the dark into a racing river and finding out that glow worms are actually maggots and the bit that glows is their pooh. Mouths closed now.
-Warmed our toes over a huge pool of smelly, bubbling mud in Rotorua
-Had a massive Maori feast
-Got a tattoo done by a Maori specialist! (don't tell my mum)
-Managed to get into an album launch in Wellington
-Swam in the ocean over the Kaikoura Canyon with literally hundreds of Dusky dolphins. Wow, cool, awesome as they say here. Amazing - they were inches away from your face.
-Said hello at very close range to three 20 foot sperm whales
-Managed to get Tim to go horse riding in Coromandel - he is still complaining about his nuts
~~~
For La2Th8O19, a PBE-relaxed structure gives the simulated powder diffractogram in this record (Cu Kα X-rays).
Peak positions follow from Bragg's law for the DFT cell and can differ from measured ones.

Most intense lines, 10° ≤ 2θ ≤ 90°, sorted by position:
2θ (°)	intensity
27.4	100.0
31.8	24.4
45.5	32.9
45.6	16.9
53.8	14.9
54.0	31.7

Structural model:
Lattice parameters (Å, degrees): 3.9793 3.9793 28.3009 90.00 90.00 90.00
Sites, in units of the cell vectors:
La: 0.0000 0.5000 0.0571
La: 0.5000 0.0000 0.9429
Th: 0.0000 0.5000 0.2520
Th: 0.0000 0.5000 0.4504
Th: 0.0000 0.5000 0.6488
Th: 0.0000 0.5000 0.8473
Th: 0.5000 0.0000 0.1527
Th: 0.5000 0.0000 0.3512
Th: 0.5000 0.0000 0.5496
Th: 0.5000 0.0000 0.7480
O: 0.0000 0.0000 0.0988
O: 0.0000 0.0000 0.2004
O: 0.0000 0.0000 0.3007
O: 0.0000 0.0000 0.4004
O: 0.0000 0.0000 0.5000
O: 0.0000 0.0000 0.5996
O: 0.0000 0.0000 0.6993
O: 0.0000 0.0000 0.7996
O: 0.0000 0.0000 0.9012
O: 0.5000 0.5000 0.0000
O: 0.5000 0.5000 0.1072
O: 0.5000 0.5000 0.2044
O: 0.5000 0.5000 0.3025
O: 0.5000 0.5000 0.4011
O: 0.5000 0.5000 0.5000
O: 0.5000 0.5000 0.5989
O: 0.5000 0.5000 0.6975
O: 0.5000 0.5000 0.7956
O: 0.5000 0.5000 0.8928

---

For Mn2CuBr5, a PBE-relaxed structure gives the simulated powder diffractogram in this record (Cu Kα X-rays).
Peak positions follow from Bragg's law for the DFT cell and can differ from measured ones.

Most intense lines, 10° ≤ 2θ ≤ 90°, sorted by position:
2θ (°)	intensity
16.7	100.0
26.5	41.9
27.0	39.5
29.6	27.7
45.6	26.4
46.4	33.6

Structural model:
Lattice parameters (Å, degrees): 7.1501 7.1501 6.6989 111.13 111.13 66.75
Sites, in units of the cell vectors:
Mn: 0.2133 0.7867 0.0000
Mn: 0.7867 0.2133 0.0000
Cu: 0.1738 0.1738 0.4668
Br: 0.0919 0.0919 0.8202
Br: 0.4259 0.4259 0.7969
Br: 0.4360 0.8685 0.3819
Br: 0.8390 0.8390 0.9989
Br: 0.8685 0.4360 0.3819


Calculated XRD peak list
Compound: Li2MnF5
Radiation: CuKα
Structure: a cell relaxed with PBE+U

Structural model:
a b c (Å): 5.087 8.122 9.686
angles (deg): 90.00 90.00 90.00
Space group P2_12_12_1 (No. 19)
Symmetry-distinct sites (fractional):
Li 0.021 0.154 0.440 (multiplicity 4)
Li 0.040 0.617 0.740 (multiplicity 4)
Mn 0.032 0.048 0.121 (multiplicity 4)
F 0.118 0.515 0.204 (multiplicity 4)
F 0.138 0.100 0.941 (multiplicity 4)
F 0.202 0.832 0.709 (multiplicity 4)
F 0.234 0.569 0.936 (multiplicity 4)
F 0.249 0.834 0.114 (multiplicity 4)

Main lines, by angle (2θ from 15° to 90°):
2θ (°)  I (rel.)  h k l
19.71  53  1 0 1
21.36  100  0 1 2
21.89  58  0 2 0
22.57  83  1 1 1
28.12  41  1 2 0
29.62  68  1 2 1
37.64  19  1 3 0
49.22  19  1 4 1
50.94  28  2 2 3
51.73  17  1 1 5
~~~
-Had a private spa in the thermal Springs at Hamner Springs and ruined all my silver jewellery
-Went jet-boating in a river canyon. Do this. Do this now. It's amazing.
Things we perhaps shouldn't have done:
-Spent an absolute bloody fortune.
-Ate countless portions of fish and chips
-Ate even more Kiwi breakfasts
-Gave in and weighed myself in one of the hotel bathrooms (ouch)
-Scored some very strong Kiwi weed
-Allowed Tim to get too close to the sheep - he really is starting to worry me- ever since Peru he's had a growing fascination for alpaca and now sheep. If you don't believe me check his photos when we get back.
-Thought it was going to be hot and sunny - Boy does it rain some here!
Being in New Zealand has reminded us that Christmas is around the corner. I Hope that none of you are having to work and that you all have a good one. In case I don't get to email before then Merry Christmas to you all. It's going to be weird not seeing you.
Love and kisses